As global forces finally begin to converge on clear goals and actions to address climate change, the resulting momentum is cutting a path for another critical environmental issue: biodiversity. Capital providers are beginning to recognize biodiversity loss as a major systemic risk, while companies are coming to understand that they both depend on and impact biodiversity in the conduct of their business. There is movement in both the public and private sectors to understand, mitigate, and report on biodiversity - and companies need to prepare.
What is biodiversity?
Biodiversity comprises three parts: ecosystem diversity, species diversity, and genetic diversity among species. Humans benefit from high biodiversity because it provides essential resources for basic necessities of life such as food, energy, building materials, medicines, and more.
Biodiversity is an example of natural capital - the world’s stocks of natural assets including geology, soil, air, water, and all living things. Together, these provide ecosystem services that enable human health, safety, and livelihoods.
Data records that have nothing to do with the page:
********
No. 1
Entry from Alexandria: a relaxed structure of TlZn2Cu (PBE-GGA).

Properties
Space group   Cm, No. 8
Electronic total energy   -8.292 eV for the cell shown
Crystal system   monoclinic
Offset from the most stable computed form   52 meV/atom
Energy of formation from the pure elements   0.18 eV/atom

abc: 4.679 4.679 4.914
angles: 99.94 99.94 44.14
Element x y z (fractional)
Tl 0.000 0.000 0.000
Zn 0.510 0.510 0.523
Zn 0.770 0.770 0.328
Cu 0.241 0.241 0.694


No. 2
Entry from Alexandria: a relaxed structure of MgTa2W (PBE-GGA).

Properties
Space group   Cmmm, No. 65
Electronic total energy   -36.904 eV for the cell shown
Crystal system   orthorhombic
Energy of formation from the pure elements   0.34 eV/atom

abc: 5.369 5.369 2.732
angles: 90.00 90.00 114.62
Element x y z (fractional)
Mg 0.000 0.000 0.000
Ta 0.000 0.500 0.500
Ta 0.500 0.000 0.500
W 0.500 0.500 0.000


No. 3
Entry from Alexandria: a relaxed structure of PuThCuGe (PBE-GGA).

Properties
Space group   F-43m, No. 216
Electronic total energy   -31.437 eV for the cell shown
Crystal system   cubic
Energy of formation from the pure elements   -0.24 eV/atom

abc: 5.072 5.072 5.072
angles: 60.00 60.00 60.00
Element x y z (fractional)
Pu 0.000 0.000 0.000
Th 0.500 0.500 0.500
Cu 0.750 0.750 0.750
Ge 0.250 0.250 0.250


No. 4
Entry from Alexandria: a relaxed structure of Si2NiAg (PBE-GGA).

Properties
Space group   Pm, No. 6
Electronic total energy   -19.067 eV for the cell shown
Crystal system   monoclinic
E_form (uncorrected)   0.103 eV per atom
Offset from the most stable computed form   118 meV/atom

abc: 3.052 4.304 4.512
angles: 90.00 96.72 90.00
Element x y z (fractional)
Si 0.000 0.000 0.000
Si 0.495 0.500 0.819
Ni 0.423 0.000 0.608
Ag 0.955 0.500 0.336


No. 5
Entry from Alexandria: a relaxed structure of Re2AsPt (PBE-GGA).

Properties
Space group   Imm2, No. 44
Electronic total energy   -34.541 eV for the cell shown
Crystal system   orthorhombic
Energy of formation from the pure elements   0.26 eV/atom

abc: 5.196 5.196 5.196
angles: 145.96 129.20 62.57
Element x y z (fractional)
Re 0.000 0.000 0.000
Re 0.733 0.233 0.500
As 0.227 0.727 0.500
Pt 0.457 0.457 0.000


What is the electronic total energy in the first record?
-8.292 eV for the cell shown


Look up the electronic total energy of the third one.
-31.437 eV for the cell shown
********
The page goes on:
Today, the world is experiencing alarming rates of biodiversity loss: the reduction of diversity among ecosystems, species, and species’ genetic makeup. This is mainly due to human activity and its impacts such as changes in land use, overexploitation of natural assets, climate change, pollution, and invasive alien species. Increasingly, biodiversity and climate are being recognized as reinforcing “twin crises” in which biodiversity loss reduces nature’s climate-regulating benefits, and a hotter climate further exacerbates biodiversity loss. Both are inextricably tied to global issues of ecology, food security, medicine and science, disease, economic activity, culture, society, and political stability, which depend on diverse plants, animals, and resources around the world.
A global mobilization underway
The importance of biodiversity is finding its way into international discussions regarding societal health, economic development, company performance, and capital allocation. At the United Nations 15th Conference of the Parties on biodiversity held in October 2021, over 100 countries signed the Kunming Declaration, which calls for “urgent and integrated action” regarding biodiversity in all sectors of the global economy. Signatories committed to supporting a global Post-2020 Biodiversity Framework intended to facilitate the implementation of the objectives of the Convention on Biological Diversity (CBD), a 1933 treaty to promote sustainable development, the conservation of biodiversity, and the sustainable and fair use of natural resources.
Central banks and financial supervisors around the world, collaborating under the Network for Greening the Financial System, are developing their own nature-related agenda, acknowledging that nature-related risks such as biodiversity loss could have significant macroeconomic implications, and that failure to account for, mitigate, and adapt to these implications is a source of risks relevant for financial stability.

Figure 1. Source: NGFS-INSPIRE
Investor interest in biodiversity
The central banks’ view is echoed by capital markets recognizing biodiversity as having a significant potential to impact investment value in the short, medium, and long term. Since September 2020, 84 financial institutions have committed to the Finance for Biodiversity Pledge to collaborate, engage with companies and leaders, set targets, and report publicly on biodiversity preservation. Similarly, the proposed Nature Action 100 investor-led collaborative engagement program, expected to launch in the summer of 2022, intends to promote public policies and corporate actions to support implementation of the Post-2020 Biodiversity Framework.
Engagement will not be the only tool at investors’ disposal, and the learning curve for biodiversity is proving much shorter than for climate change. For example, the Partnership for Biodiversity Accounting Financials (PBAF) Standard, expected to be published in the first half of 2022, will serve as the biodiversity equivalent of the Partnership of Carbon Accounting Financials (PCAF) Standard, helping financial institutions to assess and disclose impact and dependencies on biodiversity of their loans and investments.
The role of companies
Companies share a symbiotic relationship with biodiversity: they are both largely responsible for biodiversity loss and deeply dependent on ecosystem services and resources for business productivity, namely in agriculture, energy, tourism, and transportation. According to the World Economic Forum, more than half of global annual GDP depends on ecosystem services. As nature degrades, companies will experience deteriorated supply chains, disrupted business operations, increased costs of raw materials, reputational and non-compliance risks, and resulting decreases in profitability.
But biodiversity can also present an opportunity. Nature-positive business models, those that contribute to reversing nature loss by 2030 from a 2020 baseline, can improve business efficiency, product and service development, access to new funding streams, and lower operating costs. Such business models represent an opportunity to generate up to US$10 trillion in annual business value and create 395 million jobs by 2030, according to the World Business Council on Sustainable Development.

Figure 2 Source: Climate Disclosure Standards Board (CDSB)
Corporate disclosures on biodiversity
With the growing mobilization to address biodiversity loss, calls for more and better information are sure to follow. Companies will undoubtedly face rising expectations from investors, banks, insurers, customers, employees, and regulators to improve the quality and quantity of their corporate biodiversity disclosures. Once again, action on climate change is guiding the way.
The recently created Taskforce on Nature-related Financial Disclosures (TNFD) is working diligently on disclosure recommendations very closely aligned with those of the Task Force on Climate-related Financial Disclosures (TCFD). The IFRS Sustainability Disclosure Standards are likely to incorporate the biodiversity application guidance of the Climate Disclosure Standards Board (CDSB), the latter having been merged into the IFRS Foundation last February.
### The piece is interrupted by calculated crystals
# 1
The following is a PBE-GGA calculation of a relaxed structure of ScFeTcAs, from the Open Quantum Materials Database.

Results
Its volume is 15.53 A^3/atom. The calculated density comes out at 7317 kg/m³. As for the total energy: -7.38 eV per atom. The calculation puts the size of the total moment at 4.16 μB per cell. The distance to the lowest polymorph of the same formula comes out at 0.2075 eV/atom.

Lattice parameters (Å, degrees): 4.4454 4.4454 4.4454 60.00 60.00 60.00
Last column: nearest neighbours and their distance in Å.
Sites, in units of the cell vectors:
Sc: 0.0000 0.0000 0.0000  4 As 2.72, 4 Tc 2.72
Fe: 0.5000 0.5000 0.5000  4 As 2.72, 4 Tc 2.72
Tc: 0.7500 0.7500 0.7500  4 Fe 2.72, 4 Sc 2.72
As: 0.2500 0.2500 0.2500  4 Fe 2.72, 4 Sc 2.72


# 2
The following is a PBE-GGA calculation of a relaxed structure of ScFeTcAs, from the Open Quantum Materials Database.

Results
Its volume is 14.20 A^3/atom. The calculated density comes out at 8003 kg/m³. As for the total energy: -7.59 eV per atom. The calculation puts the size of the total moment at 0.84 μB per cell. The distance to the lowest polymorph of the same formula comes out at 0.0000 eV/atom.

Lattice parameters (Å, degrees): 4.3145 4.3145 4.3145 60.00 60.00 60.00
Last column: nearest neighbours and their distance in Å.
Sites, in units of the cell vectors:
Sc: 0.0000 0.0000 0.0000  4 Fe 2.64, 4 Tc 2.64
Fe: 0.7500 0.7500 0.7500  4 As 2.64, 4 Sc 2.64
Tc: 0.2500 0.2500 0.2500  4 As 2.64, 4 Sc 2.64
As: 0.5000 0.5000 0.5000  4 Fe 2.64, 4 Tc 2.64


# 3
The following is a PBE-GGA calculation of a relaxed structure of ScFeAsW, from the Open Quantum Materials Database.

Results
Its volume is 14.85 A^3/atom. The calculated density comes out at 10054 kg/m³. As for the total energy: -7.75 eV per atom. The calculation puts the size of the total moment at 1.82 μB per cell. The distance to the lowest polymorph of the same formula comes out at 0.0000 eV/atom.

Lattice parameters (Å, degrees): 4.3793 4.3793 4.3793 60.00 60.00 60.00
Last column: nearest neighbours and their distance in Å.
Sites, in units of the cell vectors:
Sc: 0.0000 0.0000 0.0000  4 Fe 2.68, 4 W 2.68
Fe: 0.7500 0.7500 0.7500  4 Sc 2.68, 4 As 2.68
As: 0.5000 0.5000 0.5000  4 Fe 2.68, 4 W 2.68
W: 0.2500 0.2500 0.2500  4 As 2.68, 4 Sc 2.68


# 4
The following is a PBE-GGA calculation of a relaxed structure of ScZnFeAs, from the Open Quantum Materials Database.

Results
Its volume is 14.70 A^3/atom. The calculated density comes out at 6812 kg/m³. As for the total energy: -5.16 eV per atom. The calculation puts the size of the total moment at 0.03 μB per cell. The distance to the lowest polymorph of the same formula comes out at 0.1619 eV/atom.

Lattice parameters (Å, degrees): 4.3644 4.3644 4.3644 60.00 60.00 60.00
Last column: nearest neighbours and their distance in Å.
Sites, in units of the cell vectors:
Sc: 0.0000 0.0000 0.0000  4 Fe 2.67, 4 Zn 2.67
Zn: 0.2500 0.2500 0.2500  4 As 2.67, 4 Sc 2.67
Similarly, the draft European Sustainability Reporting Standard for Biodiversity and Ecosystems, developed in collaboration with the Global Reporting Initiative (GRI) has already been released for consultation. The GRI will also update its own 2016 Biodiversity Standard in collaboration with the CDP this year, which will in turn be expanding its corporate questionnaire to include biodiversity disclosures. Even the Science Based Targets Network (SBTN) is working on guidance for science-based targets for nature.
Finally, on the regulatory front, Europe continues to lead the way with explicit references to biodiversity disclosures found in the Sustainable Finance Disclosure Regulation (SFDR), the Corporate Sustainability Reporting Directive (CSRD), and the EU Taxonomy Regulation.
In keeping with the accelerating global mobilization to address this ‘other’ systemic risk, it’s clear that expectations of what companies must ‘do’ and ‘say’ on biodiversity are only going to increase, both in quantity and quality. Change is happening fast. Fortunately, alignment and synchronization are, too.